Tuesday, March 31, 2009

Job Offer Scams

Just got another job scam thru my account. Here are the details.

Good tidings to you as you read.

Please permit me to write you irrespective of the fact we have not met before. I got your contact through network online

hence I decided to write you. I would be very interested in offering you a part-time paying job in which you could earn up to $7,000 a month as extra

income. opening an account would have been my best choice if I was not working on a deadline that must meet a 24 hour turn around time, other options are

not on my side due to time, money, and requirements. This is why I am offering a part time opportunity to someone responsible who can supply prompt assistant

and service. JOB DESCRIPTION: Work as my payment assistant in charge of collecting and processing the payments from the associates.

## Someone pasted crystal structures at this point
+++
## Nb2O2F3 (r2SCAN)

Data for an optimized crystal structure of Nb2O2F3.

```
Nb2O2F3
1.0
5.229 0.000 0.000
-0.001 5.768 0.000
-2.599 -2.297 6.132
Nb O F
4 4 6
direct
0.085 0.188 0.181
0.405 0.313 0.819
0.595 0.687 0.181
0.915 0.812 0.819
0.160 0.141 0.902
0.243 0.641 0.902
0.757 0.359 0.098
0.840 0.859 0.098
0.106 0.250 0.500
0.346 0.531 0.296
0.447 0.031 0.295
0.553 0.969 0.705
0.654 0.469 0.704
0.894 0.750 0.500
```

## Properties
* ΔE_f: -2.905 eV per atom
* DFT total energy: -13.02 eV/atom
* M_tot: 1.0 μB per formula unit



## NbSeOF7 (r2SCAN)

Data for an optimized crystal structure of NbSeOF7.

```
NbSeOF7
1.0
11.036 0.000 0.000
0.000 7.882 0.000
0.000 0.000 7.005
Nb Se O F
4 4 4 28
direct
0.150 0.250 0.201
0.350 0.750 0.701
0.650 0.250 0.299
0.850 0.750 0.799
0.003 0.750 0.246
0.497 0.250 0.746
0.503 0.750 0.254
0.997 0.250 0.754
0.014 0.250 0.987
0.486 0.750 0.487
0.514 0.250 0.513
0.986 0.750 0.013
0.013 0.250 0.370
0.099 0.091 0.697
0.099 0.409 0.697
0.138 0.006 0.193
0.138 0.494 0.193
0.233 0.750 0.894
0.239 0.750 0.493
0.261 0.250 0.993
0.267 0.250 0.394
0.362 0.506 0.693
0.362 0.994 0.693
0.401 0.591 0.197
0.401 0.909 0.197
0.487 0.750 0.870
0.513 0.250 0.130
0.599 0.091 0.803
0.599 0.409 0.803
0.638 0.006 0.307
0.638 0.494 0.307
0.733 0.750 0.606
0.739 0.750 0.007
0.761 0.250 0.507
0.767 0.250 0.106
0.862 0.506 0.807
0.862 0.994 0.807
0.901 0.591 0.303
0.901 0.909 0.303
0.987 0.750 0.630
```

## Properties
* ΔE_f: -2.475 eV per atom
* DFT total energy: -9.17 eV/atom
* M_tot: 0.0 μB per formula unit



## NbSn6OF15 (r2SCAN)

Data for an optimized crystal structure of NbSn6OF15.

```
NbSn6OF15
1.0
9.257 -3.905 0.000
9.257 3.905 0.000
-0.156 0.000 10.960
Nb Sn O F
2 12 2 30
direct
0.168 0.832 0.500
0.832 0.168 0.000
0.052 0.252 0.726
0.215 0.379 0.444
0.247 0.613 0.169
0.252 0.052 0.226
0.379 0.215 0.944
0.397 0.759 0.855
0.613 0.247 0.669
0.628 0.794 0.578
0.758 0.955 0.294
0.759 0.397 0.355
0.794 0.628 0.078
0.955 0.758 0.794
0.108 0.798 0.356
0.798 0.108 0.856
0.017 0.319 0.312
0.060 0.084 0.466
0.084 0.060 0.966
0.114 0.372 0.852
0.217 0.489 0.018
0.218 0.896 0.670
0.222 0.223 0.100
0.223 0.222 0.600
0.282 0.598 0.577
0.319 0.017 0.812
0.353 0.390 0.283
0.372 0.114 0.352
0.390 0.353 0.783
0.414 0.726 0.455
0.489 0.217 0.518
0.518 0.793 0.004
0.598 0.282 0.077
0.619 0.654 0.742
0.636 0.893 0.171
0.654 0.619 0.242
0.685 0.991 0.711
0.726 0.414 0.955
0.787 0.788 0.425
0.788 0.787 0.925
0.793 0.518 0.504
0.893 0.636 0.671
0.896 0.218 0.170
0.932 0.946 0.578
0.946 0.932 0.078
0.991 0.685 0.211
```

## Properties
* ΔE_f: -2.541 eV per atom
* DFT total energy: -12.37 eV/atom
* M_tot: 0.0 μB per formula unit



## NbVF6 (r2SCAN)

Data for an optimized crystal structure of NbVF6.

```
NbVF6
1.0
2.614 1.509 4.787
-2.614 1.509 4.787
0.000 -3.018 4.787
Nb V F
1 1 6
direct
0.000 0.000 0.000
0.500 0.500 0.500
0.134 0.369 0.749
0.251 0.866 0.631
0.369 0.749 0.134
0.631 0.251 0.866
0.749 0.134 0.369
0.866 0.631 0.251
```

## Properties
+++
## Back to the page

1. Receive payment (inform of money orders/checks) from my Clients/Associates.

2. Cash the Payments at your Bank

3. Deduct 10%, which will be your percentage/pay on Payment processed.

4. You will then forward the balance via Western Union Money Transfer

according to my instruction. REQUIREMENT: 18 years or older. Responsible, Reliable and Trustworthy Available to work a minimum 3-4 hours per week. Able to

check and respond to emails often. Easy telephone access. IS THIS LEGAL? YES It is very legal, Doing this job is 100% safe and legal. I would be glad if

you accept my proposal for an opportunity to make up 10% of each transaction completed. Please reply via email with complete information as requested:

A. NAME,==============

B. STREET ADDRESS (NOT P.O BOX),=================

C. CITY:=========================

D. STATE:=============================

E. ZIP CODE============================

F. COUNTRY============================

G. MOBILE NUMBER, ====================

H. AGE, ===============================

I. SEX, ==================================

J. OCCUPATION============================

K. E MAIL==================================

All replies should be sent to dr.davidewalk1@gmail.com


DR David Walker

Monday, March 30, 2009

Conficker Tools

Felix Leder and Tillmann Werner

The following page contains the tools and analysis results described in our "Know your Enemy" paper "Containing Conficker - To Tame a Malware". The paper is published by the undefinedHoneynet Project and can be downloaded here: todo

All tools are to be considered as proof of concepts. Even though most of them run stable, they are not meant for use in production. They don't come with any warranty.
All tools are available including source code and are licences using GPL.


Friday, March 27, 2009

Nmap 4.85BETA 4

From Fyodor

4.85BETA4 (compared to 4.76) includes our new Ncat and Ndiff tools, a ton of new NSE scripts for superior network discovery, more than 5,000 version detection signatures and nearly 2,000 OS fingerprints, improved scan performance, and much more! You can read about all the changes at http://nmap.org/changelog.html. Be sure to read all the way down to 4.85BETA1, as that includes some of the most dramatic changes.

Download Nmap 4.85BETA4 from: http://nmap.org/download.html

Thursday, March 26, 2009

Firefox critical vulnerability patched in 3.0.8, due next week

A new vulnerability has just been found in Firefox. The vulnerability, discovered by security researcher Guido Landi, was published on several security sites on Wednesday the 25th. The flaw could be used by an attacker to remotely execute code on a users machine using remote memory corruption after a user views a specially crafted malicious XML file. Read more...

Wednesday, March 25, 2009

Beware of "Local Breaking News"

March 16, 2009 (Marshal News)

Over the past month, botherders have been using fake coupon websites to host Waledac malware. Today, these criminals have updated their theme to use "Reuters breaking news" with localized content to easily captivate unwary users. It uses IP geolocation services to achieve content localization which we have mentioned before in our previous blog. As usual, a link from the fake website point to a Waledac binary and to make it more legitimate looking, "Related Links" to Wikipedia and Google Search were added. Read more...

Tuesday, March 24, 2009

Senator says his office computers were hacked

"One of attacks looked "pretty serious, and it [was] talking to a computer in some international arena,” Nelson said during the March 19 hearing". Read more

Thursday, March 12, 2009

Linux Tips: Removing Directory

rmdir command

Remove folder(s), if they are empty.

rmdir [options]... folder...

ignore each failure that is solely because the directory is non-empty

-p, --parents remove explicit parent directories if being emptied

--verbose output a diagnostic for every directory processed

--help display this help and exit

--version output version information and exit

Related Linux Bash commands:

ls - List information about files (use ls-al to see if they are empty)
rm - Remove files (rm -rf will recursively remove folders and their contents)

Wednesday, March 11, 2009

Michael Jackson and Green Card lottery scams come together

"At the bottom you'll see a banner advert inviting people to live and work in the USA. The advert is served up by a division of Jackson's record company, Sony BMG, who themselves get it from an advertising network called Advertising.com. Nothing bad or dangerous so far.

But what I'm especially interested in is what happens when you click on the advert. You get taken to a website called www.usafis.org, which offers you the opportunity to enter the lottery for an American Green Card (essentially the authorisation to live and work in the United States).".

Here the page breaks off for crystal structures >
+++
(1)
A plane-wave DFT calculation with PBE-GGA was carried out for crystalline Na3B5H4O11 at its relaxed geometry.

extended XYZ file:
```
184
Lattice="8.881 0.000 0.000 0.000 18.507 0.000 0.000 0.000 10.978" Properties=species:S:1:pos:R:3 pbc="T T T"
Na 0.591 1.257 1.012
Na 0.591 7.997 6.500
Na 0.728 4.452 0.819
Na 0.728 4.802 6.308
Na 1.086 0.772 6.553
Na 1.086 8.481 1.064
Na 3.354 10.026 6.553
Na 3.354 17.735 1.064
Na 3.712 13.705 0.819
Na 3.712 14.055 6.308
Na 3.850 10.510 1.012
Na 3.850 17.250 6.500
Na 5.031 1.257 4.477
Na 5.031 7.997 9.966
Na 5.169 4.452 4.669
Na 5.169 4.802 10.158
Na 5.527 0.772 9.913
Na 5.527 8.481 4.425
Na 7.794 10.026 9.913
Na 7.794 17.735 4.425
Na 8.153 13.705 4.669
Na 8.153 14.055 10.158
Na 8.290 10.510 4.477
Na 8.290 17.250 9.966
B 0.751 2.909 3.811
B 0.751 6.344 9.300
B 1.129 11.781 0.011
B 1.129 15.980 5.499
B 1.578 12.646 2.394
B 1.578 15.114 7.883
B 1.876 12.656 8.740
B 1.876 15.105 3.251
B 2.194 10.233 9.234
B 2.194 17.528 3.745
B 2.246 0.979 9.234
B 2.246 8.274 3.745
B 2.565 3.402 8.740
B 2.565 5.851 3.251
B 2.863 3.393 2.394
B 2.863 5.861 7.883
B 3.311 2.527 0.011
B 3.311 6.726 5.499
B 3.690 12.163 3.811
B 3.690 15.598 9.300
B 5.191 2.909 1.678
B 5.191 6.344 7.166
B 5.570 11.781 5.478
B 5.570 15.980 10.967
B 6.018 12.646 3.095
B 6.018 15.114 8.583
B 6.316 12.656 7.727
B 6.316 15.105 2.238
B 6.635 10.233 7.232
B 6.635 17.528 1.744
B 6.686 0.979 7.232
B 6.686 8.274 1.744
B 7.005 3.402 7.727
B 7.005 5.851 2.238
B 7.303 3.393 3.095
B 7.303 5.861 8.583
B 7.752 2.527 5.478
B 7.752 6.726 10.967
B 8.130 12.163 1.678
B 8.130 15.598 7.166
H 0.207 1.070 9.309
H 0.207 8.183 3.820
H 1.104 12.598 6.443
H 1.104 15.162 0.954
H 1.369 12.099 4.979
H 1.369 15.662 10.468
H 1.985 0.948 3.167
H 1.985 8.305 8.655
H 2.456 10.202 3.167
H 2.456 17.559 8.655
H 3.071 2.845 4.979
H 3.071 6.408 10.468
H 3.337 3.345 6.443
H 3.337 5.909 0.954
H 4.233 10.324 9.309
H 4.233 17.436 3.820
H 4.648 1.070 7.157
H 4.648 8.183 1.668
H 5.544 12.598 10.024
H 5.544 15.162 4.535
H 5.809 12.099 0.510
H 5.809 15.662 5.999
H 6.425 0.948 2.322
H 6.425 8.305 7.811
H 6.896 10.202 2.322
H 6.896 17.559 7.811
H 7.512 2.845 0.510
H 7.512 6.408 5.999
H 7.777 3.345 10.024
H 7.777 5.909 4.535
H 8.674 10.324 7.157
H 8.674 17.436 1.668
O 0.126 12.462 2.693
O 0.126 15.298 8.182
O 0.338 2.660 5.100
O 0.338 6.593 10.589
O 0.692 12.081 5.712
O 0.692 15.679 0.223
O 0.907 0.533 9.728
O 0.907 8.720 4.239
O 1.289 10.453 10.373
O 1.289 17.307 4.884
O 1.368 12.878 9.990
O 1.368 14.882 4.501
O 1.670 0.080 2.836
O 1.670 9.174 8.325
O 1.892 13.644 7.766
O 1.892 14.116 2.278
O 1.985 11.973 1.180
O 1.985 15.787 6.669
O 2.073 2.171 8.362
O 2.073 7.082 2.873
O 2.117 2.823 3.571
O 2.117 6.430 9.060
O 2.324 12.077 3.571
O 2.324 15.683 9.060
O 2.367 11.425 8.362
O 2.367 16.336 2.873
O 2.456 2.719 1.180
O 2.456 6.534 6.669
O 2.549 4.391 7.766
O 2.549 4.863 2.278
O 2.770 9.333 2.836
O 2.770 18.427 8.325
O 3.072 3.625 9.990
O 3.072 5.629 4.501
O 3.151 1.200 10.373
O 3.151 8.053 4.884
+++

Tuesday, March 10, 2009

Recent exploits evade Adobe's countermeasures; patch not ready

March 6, 2009 (Computerworld) An unpatched bug in popular PDF viewing and editing applications is much more dangerous than first thought, according to security researchers who have created exploits that sidestep Adobe's defensive recommendations.

Last week, a researcher who works at the Danish vulnerability tracker Secunia said he had come up with an exploit that didn't rely on JavaScript. Read more..

More about Conficker Worm

Users can protect themselves from the worm by installing Microsoft's MS08-067 security update, using strong passwords and disabling Windows' Autoplay and Autorun features.
Read More ...

Thursday, March 5, 2009

Configuring LILO

LILO is the Linux Loader, the most popular boot loader for Linux. It is used to load Linux into memory and start the operating system. On a machine with multiple operating systems, LILO can be configured to boot the other systems as well.

Normally LILO is initially configured for you during the Linux installation process. However, you may find that default configuration is not correct, or you wish to customize it. And there may even come a time when you need to remove LILO from your computer. Here are some instructions that should help you on your quest.


Hack the Box Blue
